Your job: find the line below that holds "-1.1836 -6.7926", then retype that line and all lines after it there.

<<<
1.
43
Properties=species:S:1:pos:R:3:lowdin_charge:R:1 method="wB97M-V/def2-TZVPD" e_tot_ev=-28571.197 lumo_ev=-1.73 homo_ev=-6.8 total_charge=0
C 0.6296 -0.2023 2.1403 -0.0604
N 1.5786 0.7836 2.2742 -0.4124
O 2.7749 0.4692 2.5902 -0.0393
O 1.2750 1.9923 2.0271 -0.0817
C -0.7641 0.0634 2.3019 -0.2079
C -1.3097 1.3673 2.1925 -0.0318
C -2.6813 1.5725 2.2429 -0.0398
C -3.5568 0.4997 2.4489 -0.2684
C -4.9749 0.7169 2.4810 -0.2023
N -6.1330 0.8916 2.4975 0.1258
C -3.0347 -0.7934 2.6252 -0.0499
C -1.6677 -1.0098 2.5608 -0.0378
H 0.9943 -1.2226 2.2656 0.1218
H -0.6266 2.1999 2.0648 0.0873
H -3.0750 2.5827 2.1202 0.1172
H -3.7198 -1.6239 2.8100 0.1157
H -1.2430 -2.0063 2.7108 0.1091
C -3.2535 -0.2549 -2.6227 -0.0208
N -1.8383 -0.5864 -2.5046 -0.1895
C -1.3108 -1.6203 -3.3854 -0.0303
C -1.0689 0.0117 -1.6041 -0.0300
C 0.2862 -0.3086 -1.3962 -0.0614
C 1.1314 0.5059 -0.6677 0.0067
C 2.5597 0.3163 -0.6157 -0.2253
C 3.4425 1.4141 -0.4346 -0.0141
C 4.8178 1.2272 -0.3935 -0.0617
C 5.3615 -0.0643 -0.5065 -0.0576
C 4.5050 -1.1609 -0.6932 -0.0680
C 3.1253 -0.9716 -0.7718 -0.0208
H -3.6495 -0.7732 -3.5000 0.0864
H -3.8113 -0.5709 -1.7281 0.1055
H -3.3854 0.8298 -2.7376 0.1025
H -2.1063 -1.8845 -4.0873 0.0877
H -0.4349 -1.2571 -3.9417 0.1057
H -1.0127 -2.5133 -2.8172 0.1057
H -1.5318 0.8284 -1.0284 0.1536
H 0.6819 -1.2078 -1.8769 0.0970
H 0.7352 1.4651 -0.3305 0.1261
H 3.0079 2.4100 -0.3228 0.1222
H 5.4752 2.0897 -0.2561 0.1112
H 6.4411 -0.2123 -0.4445 0.1072
H 4.9138 -2.1711 -0.7730 0.1062
H 2.4534 -1.8217 -0.9138 0.1106

2.
48
Properties=species:S:1:pos:R:3:mulliken_spin:R:1 method="wB97M-V/def2-TZVPD" e_tot_ev=-46898.899 lumo_ev="-3.38 / -3.75" homo_ev="-10.8 / -10.8" total_charge=+1 multiplicity=2
Os 0.2023 -0.3714 0.4362 0.9906
O 1.8860 -1.4285 -0.2775 0.0105
N 2.7903 -1.8231 0.6139 0.0153
C 3.7482 -2.6818 0.1901 -0.0052
C 4.7258 -3.0968 1.0464 0.0029
C 4.7220 -2.6253 2.3642 -0.0035
C 3.7354 -1.7649 2.7727 0.0023
C 2.7432 -1.3553 1.8742 -0.0107
S 1.4760 -0.2579 2.3239 0.0312
H 3.6526 -2.9751 -0.8434 0.0004
H 5.4794 -3.7837 0.6924 0.0003
H 5.4852 -2.9429 3.0602 -0.0001
H 3.6903 -1.3879 3.7843 0.0010
C -1.1737 -5.7536 -0.1845 0.0002
C -0.3512 -4.8436 -0.8267 -0.0017
C -0.3352 -3.5095 -0.4448 0.0123
C -1.1562 -3.0811 0.5908 -0.0079
C -1.9785 -3.9916 1.2497 0.0042
C -1.9819 -5.3183 0.8568 -0.0010
N -1.1658 -1.6972 1.0026 -0.0299
N -2.0329 -1.4386 1.8993 -0.0330
C -2.0311 -0.1343 2.2412 0.0270
C -2.9815 0.3687 3.1493 -0.0271
C -2.9800 1.7150 3.4088 0.0358
C -2.0392 2.5462 2.7824 -0.0143
C -1.0971 2.0413 1.9105 -0.0280
C -1.0704 0.6731 1.6025 0.0102
H -1.1836 -6.7926 -0.4836 -0.0001
H 0.2932 -5.1716 -1.6327 0.0000
H 0.3298 -2.8315 -0.9445 -0.0038
H -2.6100 -3.6685 2.0631 -0.0008
H -2.6231 -6.0169 1.3769 -0.0001
H -3.6916 -0.3012 3.6136 -0.0008
H -3.6968 2.1439 4.0955 0.0021
H -2.0482 3.6065 3.0019 -0.0003
H -0.3636 2.7118 1.4750 0.0005
C -0.9475 -2.2005 -3.6576 -0.0005
O -1.5690 -0.9228 -3.3875 0.0007
C -1.1435 -0.2471 -2.3468 0.0041
O -0.2157 -0.6472 -1.6178 -0.0021
N -1.7773 0.9217 -2.2005 -0.0040
N -1.3311 1.8134 -1.2360 0.0242
H -1.3079 -2.4813 -4.6410 0.0000
H -1.2625 -2.9271 -2.9129 0.0001
H 0.1344 -2.0927 -3.6583 0.0007
H -2.5617 1.1258 -2.8033 0.0016
H -2.0483 2.0266 -0.5547 -0.0015
H -0.9829 2.6579 -1.6742 -0.0015

3.
43
Properties=species:S:1:pos:R:3:lowdin_charge:R:1 method="wB97M-V/def2-TZVPD" e_tot_ev=-29679.489 lumo_ev=0.05 homo_ev=-8.7 total_charge=0
C 4.5460 1.1055 1.9436 0.0277
C 3.6911 1.1107 0.5942 -0.5092
O 3.6297 1.9690 -0.2616 0.0289
N 3.1655 -0.0503 0.3432 0.0939
C 2.3471 -0.1756 -0.7675 -0.2172
C 1.2038 -0.8593 -0.4342 -0.0230
C 0.4171 -1.2293 -1.3767 -0.0107
C 0.6642 -1.0002 -2.9711 0.1242
C 1.9747 -0.5537 -3.2212 -0.0049
C 2.8082 -0.2367 -2.0602 -0.1887
C 4.2640 0.0050 -2.5378 -0.0252
H 4.5223 -0.0338 -3.6191 0.0644
H 4.3012 1.4456 -2.1845 0.2098
H 4.9289 -0.4389 -1.7936 0.0534
H 2.2606 -0.3971 -4.2285 0.0932
H 0.1145 -1.3549 -3.5757 -0.0205
C -1.0991 -1.6351 -1.1416 -0.5121
O -1.8848 -1.8699 -2.0586 0.0720
>>>

H -1.1836 -6.7926 -0.4836 -0.0001
H 0.2932 -5.1716 -1.6327 0.0000
H 0.3298 -2.8315 -0.9445 -0.0038
H -2.6100 -3.6685 2.0631 -0.0008
H -2.6231 -6.0169 1.3769 -0.0001
H -3.6916 -0.3012 3.6136 -0.0008
H -3.6968 2.1439 4.0955 0.0021
H -2.0482 3.6065 3.0019 -0.0003
H -0.3636 2.7118 1.4750 0.0005
C -0.9475 -2.2005 -3.6576 -0.0005
O -1.5690 -0.9228 -3.3875 0.0007
C -1.1435 -0.2471 -2.3468 0.0041
O -0.2157 -0.6472 -1.6178 -0.0021
N -1.7773 0.9217 -2.2005 -0.0040
N -1.3311 1.8134 -1.2360 0.0242
H -1.3079 -2.4813 -4.6410 0.0000
H -1.2625 -2.9271 -2.9129 0.0001
H 0.1344 -2.0927 -3.6583 0.0007
H -2.5617 1.1258 -2.8033 0.0016
H -2.0483 2.0266 -0.5547 -0.0015
H -0.9829 2.6579 -1.6742 -0.0015

3.
43
Properties=species:S:1:pos:R:3:lowdin_charge:R:1 method="wB97M-V/def2-TZVPD" e_tot_ev=-29679.489 lumo_ev=0.05 homo_ev=-8.7 total_charge=0
C 4.5460 1.1055 1.9436 0.0277
C 3.6911 1.1107 0.5942 -0.5092
O 3.6297 1.9690 -0.2616 0.0289
N 3.1655 -0.0503 0.3432 0.0939
C 2.3471 -0.1756 -0.7675 -0.2172
C 1.2038 -0.8593 -0.4342 -0.0230
C 0.4171 -1.2293 -1.3767 -0.0107
C 0.6642 -1.0002 -2.9711 0.1242
C 1.9747 -0.5537 -3.2212 -0.0049
C 2.8082 -0.2367 -2.0602 -0.1887
C 4.2640 0.0050 -2.5378 -0.0252
H 4.5223 -0.0338 -3.6191 0.0644
H 4.3012 1.4456 -2.1845 0.2098
H 4.9289 -0.4389 -1.7936 0.0534
H 2.2606 -0.3971 -4.2285 0.0932
H 0.1145 -1.3549 -3.5757 -0.0205
C -1.0991 -1.6351 -1.1416 -0.5121
O -1.8848 -1.8699 -2.0586 0.0720